[Excerpt]
- - -
ZnTcN: simulated X-ray diffraction stick pattern (CuKα), based on a PBE-relaxed structure.
Intensities are scaled so that the largest is 100.

Most intense lines, 10° ≤ 2θ ≤ 80°, in order of rising 2θ:
16.3°, rel. 33; 33.0°, rel. 42; 37.2°, rel. 30; 40.2°, rel. 33; 40.4°, rel. 21; 40.9°, rel. 100; 50.5°, rel. 47; 66.3°, rel. 19

Structure:
```
3
Lattice="2.4574 -1.3864 0.0000 2.4574 1.3864 0.0000 -0.0309 0.0000 5.4219" Properties=species:S:1:pos:R:3 pbc="T T T"
Zn 0.0000 0.0000 0.0000
Tc 3.2820 0.0000 2.2102
N 4.8781 0.0000 3.4370
```

---

Tl2SiPtS4: simulated X-ray diffraction stick pattern (CuKα), based on a PBE-relaxed structure.
Intensities are scaled so that the largest is 100.

Most intense lines, 10° ≤ 2θ ≤ 80°, in order of rising 2θ:
15.4°, rel. 100; 23.4°, rel. 52; 24.8°, rel. 35; 29.7°, rel. 60; 29.9°, rel. 69; 35.2°, rel. 31; 46.4°, rel. 47; 46.9°, rel. 26

Structure:
```
16
Lattice="0.0000 7.1671 9.8689 3.3121 0.0000 9.8689 3.3121 7.1671 0.0000" Properties=species:S:1:pos:R:3 pbc="T T T"
Tl 2.4841 5.3753 0.6883
Tl 4.1401 8.9588 5.6228
Tl 2.4841 5.3753 14.1151
Tl 4.1401 8.9588 19.0496
Si 2.4841 5.3753 7.4017
Si 4.1401 8.9588 12.3362
Pt 0.8280 1.7918 2.4672
Pt 5.7961 12.5424 17.2706
S 4.0145 3.9148 6.9014
S 4.0145 6.8359 7.9020
S 5.6706 7.4983 12.8365
S 5.6706 10.4194 11.8358
S 0.9536 3.9148 7.9020
S 0.9536 6.8359 6.9014
S 2.6096 7.4983 11.8358
S 2.6096 10.4194 12.8365
```

---

PrSn2Rh4: simulated X-ray diffraction stick pattern (CuKα), based on a PBE-relaxed structure.
Intensities are scaled so that the largest is 100.

Most intense lines, 10° ≤ 2θ ≤ 80°, in order of rising 2θ:
31.4°, rel. 28; 33.0°, rel. 97; 35.2°, rel. 38; 38.3°, rel. 50; 41.6°, rel. 100; 43.8°, rel. 41; 46.4°, rel. 26; 79.0°, rel. 26

Structure:
```
14
Lattice="8.0647 0.0000 0.0000 0.0000 8.0647 0.0000 0.0000 0.0000 4.1344" Properties=species:S:1:pos:R:3 pbc="T T T"
Pr 0.0000 0.0000 0.0000
Pr 4.0323 4.0323 2.0672
Sn 1.8016 1.8016 2.0672
Sn 2.2307 5.8340 0.0000
Sn 5.8340 2.2307 0.0000
Sn 6.2630 6.2630 2.0672
Rh 0.6524 5.2177 2.0672
Rh 1.1853 3.3800 0.0000
Rh 2.8470 7.4123 2.0672
Rh 3.3800 1.1853 0.0000
Rh 4.6847 6.8794 0.0000
Rh 5.2177 0.6524 2.0672
Rh 6.8794 4.6847 0.0000
Rh 7.4123 2.8470 2.0672
```

---

NaLiNiH4: simulated X-ray diffraction stick pattern (CuKα), based on a PBE-relaxed structure.
Intensities are scaled so that the largest is 100.

Most intense lines, 10° ≤ 2θ ≤ 80°, in order of rising 2θ:
16.1°, rel. 93; 27.6°, rel. 73; 36.2°, rel. 100; 37.6°, rel. 51; 41.2°, rel. 27; 49.5°, rel. 23; 54.3°, rel. 18; 67.0°, rel. 30

Structure:
```
7
Lattice="-1.6897 1.6897 5.4955 1.6897 -1.6897 5.4955 1.6897 1.6897 -5.4955" Properties=species:S:1:pos:R:3 pbc="T T T"
Na 0.0000 0.0000 0.0000
Li 0.0000 0.0000 8.0757
Ni 0.0000 0.0000 3.7636
H 0.0000 0.0000 2.1974
H 1.6897 0.0000 3.7499
H 0.0000 0.0000 5.3817
H 0.0000 1.6897 3.7499
```

---

Na3Tl2Br5: simulated X-ray diffraction stick pattern (CuKα), based on a PBE-relaxed structure.
Intensities are scaled so that the largest is 100.

Most intense lines, 10° ≤ 2θ ≤ 80°, in order of rising 2θ:
11.3°, rel. 48; 25.9°, rel. 62; 27.3°, rel. 100; 29.0°, rel. 54; 29.7°, rel. 51; 37.1°, rel. 28; 40.7°, rel. 28; 41.0°, rel. 27

Structure:
```
10
Lattice="7.9096 -2.2188 0.0000 7.9096 2.2188 0.0000 -6.5923 0.0000 9.2085" Properties=species:S:1:pos:R:3 pbc="T T T"
Na 0.0000 0.0000 0.0000
Na 1.9818 0.0000 5.7351
Na 7.2450 0.0000 3.4734
Tl -2.3628 0.0000 7.0908
Tl 11.5896 0.0000 2.1177
Br 1.0488 0.0000 2.8349
Br 5.9414 0.0000 0.7842
Br 4.6134 0.0000 4.6042
Br 3.2854 0.0000 8.4243
Br 8.1780 0.0000 6.3736
```

---

Y3Sb5O12: simulated X-ray diffraction stick pattern (CuKα), based on a PBE-relaxed structure.
Intensities are scaled so that the largest is 100.

Most intense lines, 10° ≤ 2θ ≤ 80°, in order of rising 2θ:
19.9°, rel. 6; 28.4°, rel. 100; 32.9°, rel. 31; 47.2°, rel. 43; 55.9°, rel. 36; 58.7°, rel. 8; 76.1°, rel. 11; 78.5°, rel. 9

Structure:
```
40
- - -

[Brief]
Give back only the lines further up with the word "Tc" in them, please.

[Outcome]
Tc 3.2820 0.0000 2.2102